Input =
____________
[1]
# MgFe2Cu6SnS8, relaxed, DFT PBE-GGA
# - ΔH_f (0 K) (meV/atom) = -532
# - E (MP2020) (eV/atom) = -4.990
# - E above lowest polymorph (meV per atom) = 11
data_MgFe2Cu6SnS8
_chemical_formula_sum 'Mg1 Fe2 Cu6 Sn1 S8'
_cell_length_a 7.733
_cell_length_b 7.746
_cell_length_c 5.495
_cell_angle_alpha 90.00
_cell_angle_beta 90.00
_cell_angle_gamma 90.00
_space_group_name_H-M_alt 'P m m 2'
_space_group_IT_number 25
loop_
_space_group_symop_operation_xyz
'x,y,z'
'-x,-y,z'
'-x,y,z'
'x,-y,z'
loop_
_atom_site_label
_atom_site_type_symbol
_atom_site_fract_x
_atom_site_fract_y
_atom_site_fract_z
Mg1 Mg 0.000 0.000 0.000
Fe1 Fe 0.000 0.500 0.492
Fe2 Fe 0.000 0.500 0.972
Cu1 Cu 0.000 0.000 0.500
Cu2 Cu 0.260 0.259 0.971
Cu3 Cu 0.500 0.500 0.483
Sn1 Sn 0.500 0.000 0.437
S1 S 0.000 0.260 0.237
S2 S 0.248 0.500 0.724
S3 S 0.250 0.000 0.734
S4 S 0.500 0.274 0.213


[2]
# Si3Ru4, relaxed, DFT PBE-GGA
# - ΔH_f (0 K) (meV/atom) = -550
data_Si3Ru4
_chemical_formula_sum 'Si12 Ru16'
_cell_length_a 5.235
_cell_length_b 4.034
_cell_length_c 17.339
_cell_angle_alpha 90.00
_cell_angle_beta 90.00
_cell_angle_gamma 90.00
_space_group_name_H-M_alt 'P n m a'
_space_group_IT_number 62
loop_
_space_group_symop_operation_xyz
'x,y,z'
'-x,-y,-z'
'-x+1/2,-y,z+1/2'
'x+1/2,y,-z+1/2'
'x+1/2,-y+1/2,-z+1/2'
'-x+1/2,y+1/2,z+1/2'
'-x,y+1/2,-z'
'x,-y+1/2,z'
loop_
_atom_site_label
_atom_site_type_symbol
_atom_site_fract_x
_atom_site_fract_y
_atom_site_fract_z
Si1 Si 0.003 0.250 0.104
Si2 Si 0.121 0.750 0.309
Si3 Si 0.150 0.250 0.534
Ru1 Ru 0.010 0.250 0.393
Ru2 Ru 0.155 0.750 0.764
Ru3 Ru 0.158 0.750 0.164
Ru4 Ru 0.174 0.250 0.971


[3]
# TmZnSn2, relaxed, DFT PBE-GGA
# - ΔH_f (0 K) (meV/atom) = -406
data_TmZnSn2
_chemical_formula_sum 'Tm2 Zn2 Sn4'
_cell_length_a 4.341
_cell_length_b 4.341
_cell_length_c 9.792
_cell_angle_alpha 90.00
_cell_angle_beta 90.00
_cell_angle_gamma 90.00
_space_group_name_H-M_alt 'P 4/n m m'
_space_group_IT_number 129
loop_
_space_group_symop_operation_xyz
'x,y,z'
'-x,-y,-z'
'-y+1/2,x,z'
'y+1/2,-x,-z'
'-x+1/2,-y+1/2,z'
'x+1/2,y+1/2,-z'
'y,-x+1/2,z'
'-y,x+1/2,-z'
'x+1/2,-y,-z'
'-x+1/2,y,z'
'-y,-x,-z'
'y,x,z'
'-x,y+1/2,-z'
'x,-y+1/2,z'
'y+1/2,x+1/2,-z'
'-y+1/2,-x+1/2,z'
loop_
_atom_site_label
_atom_site_type_symbol
_atom_site_fract_x
_atom_site_fract_y
_atom_site_fract_z
Tm1 Tm 0.250 0.250 0.250
Zn1 Zn 0.250 0.750 0.000
Sn1 Sn 0.250 0.250 0.811
Sn2 Sn 0.250 0.750 0.500


[4]
# HfC, relaxed, DFT PBE-GGA
# - ΔH_f (0 K) (meV/atom) = -175
# - E above lowest polymorph (meV per atom) = 763
data_HfC
_chemical_formula_sum 'Hf1 C1'
_cell_length_a 3.2307
_cell_length_b 3.2307
_cell_length_c 2.9165
_cell_angle_alpha 90.00
_cell_angle_beta 90.00
_cell_angle_gamma 120.00
_space_group_name_H-M_alt 'P -6 m 2'
_space_group_IT_number 187
_space_group_name_Hall 'P -6 2'
loop_
_atom_site_label
_atom_site_type_symbol
_atom_site_fract_x
_atom_site_fract_y
_atom_site_fract_z
Hf1 Hf 0.0000 0.0000 0.0000
C1 C 0.3333 0.6667 0.5000


[5]
# Te2MoWS2, relaxed, DFT PBE-GGA
# - ΔH_f (0 K) (meV/atom) = -634
# - E (MP2020) (eV/atom) = -7.027
# - E above lowest polymorph (meV per atom) = 0
data_Te2MoWS2
_chemical_formula_sum 'Te4 Mo2 W2 S4'
_cell_length_a 3.3557
_cell_length_b 3.3557
_cell_length_c 38.3183
_cell_angle_alpha 90.00
_cell_angle_beta 90.00
_cell_angle_gamma 120.00
_space_group_name_H-M_alt 'P -3 m 1'
_space_group_IT_number 164
_space_group_name_Hall '-P 3 2"'
loop_
_atom_site_label
_atom_site_type_symbol
_atom_site_fract_x
_atom_site_fract_y
_atom_site_fract_z
Te1 Te 0.3333 0.6667 0.2324
Te2 Te 0.3333 0.6667 0.3312
Mo1 Mo 0.3333 0.6667 0.7182
W1 W 0.3333 0.6667 0.0939
S1 S 0.3333 0.6667 0.8664
S2 S 0.3333 0.6667 0.9457


[6]
# KNdH6C4O11, relaxed, DFT PBE-GGA
# - ΔH_f (0 K) (meV/atom) = -1806
# - E (MP2020) (eV/atom) = -6.918
data_KNdH6C4O11
_chemical_formula_sum 'K8 Nd8 H48 C32 O88'
_cell_length_a 23.488
_cell_length_b 7.537
_cell_length_c 13.027
_cell_angle_alpha 90.00
_cell_angle_beta 99.38
_cell_angle_gamma 90.00
_space_group_name_H-M_alt 'C 1 2/c 1'
____________
Job =
It remains to search the block earlier on for the word "Mg" and quote each line that has it.
Response =
Mg1 Mg 0.000 0.000 0.000